# To do
What is needed: transcribe all of the notes underneath exactly.

# Contents
~~~
Density functional theory data (PBE) for a geometry-optimized EuZnCdGa structure.

Summary:
Its total energy is -4.16 eV per atom.

```
data_EuZnCdGa
_chemical_formula_sum 'Eu1 Zn1 Cd1 Ga1'
_symmetry_space_group_name_H-M 'P 1'
_symmetry_Int_Tables_number 1
_cell_length_a 4.9734
_cell_length_b 4.9734
_cell_length_c 4.9734
_cell_angle_alpha 60.00
_cell_angle_beta 60.00
_cell_angle_gamma 60.00
loop_
_symmetry_equiv_pos_as_xyz
'x,y,z'
loop_
_atom_site_label
_atom_site_type_symbol
_atom_site_fract_x
_atom_site_fract_y
_atom_site_fract_z
Eu1 Eu 0.2500 0.2500 0.2500
Zn1 Zn 0.5000 0.5000 0.5000
Ga1 Ga 0.0000 0.0000 0.0000
Cd1 Cd 0.7500 0.7500 0.7500
```
~~~

# Result
Density functional theory data (PBE) for a geometry-optimized EuZnCdGa structure.

Summary:
Its total energy is -4.16 eV per atom.

```
data_EuZnCdGa
_chemical_formula_sum 'Eu1 Zn1 Cd1 Ga1'
_symmetry_space_group_name_H-M 'P 1'
_symmetry_Int_Tables_number 1
_cell_length_a 4.9734
_cell_length_b 4.9734
_cell_length_c 4.9734
_cell_angle_alpha 60.00
_cell_angle_beta 60.00
_cell_angle_gamma 60.00
loop_
_symmetry_equiv_pos_as_xyz
'x,y,z'
loop_
_atom_site_label
_atom_site_type_symbol
_atom_site_fract_x
_atom_site_fract_y
_atom_site_fract_z
Eu1 Eu 0.2500 0.2500 0.2500
Zn1 Zn 0.5000 0.5000 0.5000
Ga1 Ga 0.0000 0.0000 0.0000
Cd1 Cd 0.7500 0.7500 0.7500
```